A question (long)
I bought some new sports bras last week.
I figure they are going to be too big very soon but for now they are very comfortable.
[Attached: crystal structures]
-- begin --
No. 1
## SmMgCrS4 (PBE-GGA)

Data for a relaxed SmMgCrS4 crystal.

Cell: 7.5578 7.7526 10.7754 Å, 90.00 90.00 90.00°
Space group Imma (No. 74)
Inequivalent atoms, fractional coordinates:
Sm1 0.0000 0.0000 0.0000 [4 per cell]
Mg1 0.0000 0.2500 0.3762 [4 per cell]
Cr1 0.2500 0.2500 0.7500 [4 per cell]
S1 0.0000 0.0365 0.7426 [8 per cell]
S2 0.2460 0.2500 0.5223 [8 per cell]

* spin magnetization: 3.00 μB per formula unit


No. 2
## Nb3Ge (PBE-GGA)

Data for a relaxed Nb3Ge crystal.

Cell: 10.3591 10.3591 5.3063 Å, 90.00 90.00 90.00°
Space group P4_2/n (No. 86, origin choice 2)
Inequivalent atoms, fractional coordinates:
Nb1 0.0359 0.5639 0.2358 [8 per cell]
Nb2 0.1012 0.2284 0.0292 [8 per cell]
Nb3 0.1527 0.6667 0.7141 [8 per cell]
Ge1 0.0463 0.2174 0.5328 [8 per cell]

* energy above the lowest structure with this stoichiometry: 0 meV per atom


No. 3
## KAlO2 (PBE-GGA)

Data for a relaxed KAlO2 crystal.

Cell: 5.5827 5.5827 7.7777 Å, 90.00 90.00 90.00°
Space group P4_12_12 (No. 92)
Inequivalent atoms, fractional coordinates:
K1 0.2247 0.2247 0.0000 [4 per cell]
Al1 0.2125 0.2125 0.5000 [4 per cell]
O1 0.0861 0.7561 0.9233 [8 per cell]


Number 1: energy relative to the elements -1.576 eV per atom, final energy -5.934 eV per atom. Number 2: energy relative to the elements -0.318 eV per atom, final energy -9.050 eV per atom. Number 3: energy relative to the elements -2.911 eV per atom, final energy -6.255 eV per atom.
-- stop --
[End of the crystal structures]
My bad with buying clothes but I cant help it sometimes LOL
## Calculated crystals, kept here for reference
Entry 1:
Computed, not measured: an optimized crystal structure of Li3Fe2OF5 at the GGA+U level of DFT.

The structure in POSCAR format:
```
Li3Fe2OF5
1.0
5.261 0.000 0.000
-1.700 4.984 0.000
-1.753 -2.470 8.995
Li Fe O F
6 4 2 10
direct
0.794 0.540 0.083
0.876 0.122 0.242
0.540 0.788 0.583
0.466 0.217 0.437
0.114 0.863 0.729
0.217 0.463 0.926
0.292 0.043 0.082
0.040 0.290 0.584
0.369 0.623 0.240
0.710 0.964 0.927
0.045 0.296 0.085
0.547 0.795 0.083
0.125 0.889 0.254
0.801 0.528 0.583
0.621 0.358 0.250
0.678 0.968 0.421
0.360 0.651 0.744
0.241 0.452 0.422
0.277 0.052 0.583
0.448 0.213 0.912
0.877 0.087 0.747
0.978 0.715 0.916
```

Space-group type: P1
Energy of formation from the pure elements, eV/atom: -2.61
ρ, g/cm3: 3.4
Size of the total moment, μB per formula unit: 8.00

=====

Entry 2:
Computed, not measured: an optimized crystal structure of Ba5Cr5O14 at the GGA+U level of DFT.

The structure in POSCAR format:
```
Ba5Cr5O14
1.0
-0.654 2.730 5.120
3.348 2.357 -4.140
-9.717 5.954 -4.468
Ba Cr O
5 5 14
direct
0.000 0.000 0.000
0.334 0.667 0.770
0.666 0.333 0.230
0.335 0.667 0.423
0.665 0.333 0.577
0.333 0.667 0.134
0.667 0.333 0.866
0.003 0.002 0.289
0.997 0.998 0.711
0.000 0.000 0.500
0.333 0.667 0.994
0.667 0.333 0.006
0.669 0.834 0.192
0.165 0.834 0.192
0.165 0.331 0.192
0.331 0.166 0.808
0.835 0.166 0.808
0.835 0.669 0.808
0.697 0.849 0.603
0.148 0.852 0.601
0.148 0.297 0.601
0.303 0.151 0.397
0.852 0.148 0.399
0.852 0.703 0.399
```

Space-group type: C2/m
Energy of formation from the pure elements, eV/atom: -2.62
ρ, g/cm3: 5.4
Size of the total moment, μB per formula unit: 12.00

=====

Entry 3:
Computed, not measured: an optimized crystal structure of Sr2Cr2GaO7 at the GGA+U level of DFT.

The structure in POSCAR format:
```
Sr2Cr2GaO7
1.0
-2.647 2.681 12.373
2.647 -2.681 12.373
2.647 2.681 -12.373
Sr Cr Ga O
4 4 2 14
direct
0.336 0.841 0.488
0.664 0.152 0.505
0.853 0.341 0.505
0.147 0.652 0.488
0.571 0.569 0.992
0.922 0.921 0.992
0.078 0.069 0.998
0.429 0.421 0.998
0.680 0.795 0.975
0.320 0.295 0.114
0.176 0.169 0.499
0.648 0.155 0.303
0.170 0.669 0.994
0.148 0.161 0.953
0.327 0.324 0.493
0.331 0.824 0.997
0.352 0.655 0.507
0.830 0.823 0.499
0.824 0.323 0.994
0.708 0.661 0.013
0.852 0.805 0.013
0.292 0.305 0.953
0.673 0.166 0.997
0.669 0.666 0.493
```

Space-group type: Ima2
Energy of formation from the pure elements, eV/atom: -2.32
ρ, g/cm3: 4.4
Size of the total moment, μB per formula unit: 5.00

=====

Entry 4:
Computed, not measured: an optimized crystal structure of Mg6TiNiO8 at the GGA+U level of DFT.

The structure in POSCAR format:
```
Mg6TiNiO8
1.0
8.598 0.000 0.000
0.000 4.252 0.000
0.000 0.000 4.252
Mg Ti Ni O
6 1 1 8
direct
0.500 0.000 0.000
0.500 0.500 0.500
0.251 0.000 0.500
0.749 0.000 0.500
0.251 0.500 0.000
0.749 0.500 0.000
0.000 0.500 0.500
0.000 0.000 0.000
0.257 0.000 0.000
0.743 0.000 0.000
0.252 0.500 0.500
0.748 0.500 0.500
0.000 0.000 0.500
0.500 0.000 0.500
0.000 0.500 0.000
0.500 0.500 0.000
```
## End of the calculated crystals
In the past I could never find a bra that would not dig into my skin.
So my question is should I be brave and wear my sports bra in the early morning while walking the babies without a T shirt?
The sports bra covers my mid drift so no skin is exposed except my angel wings and shoulders.
In the house I wear it with my workout pants and feel very fit in it.
I had Lee take some pics last night but we need to take some other pics with my wig on before I post the pics.
I know I am going to have to have Dr. Hultman give me a lift in the near future.
Other than that I feel on top of the world.
I am now able to do 45 minutes on my treadmill,20 on the elliptical and 20 on the rowing machine.
Each day I workout twice a day and am always switching machines.
One more thing I have uploaded some cadnence MP3's LOL
Hey what ever works.
You should do what makes you comfortable. I actually wore a sleeveless dress and a sleeveless blouse out in public this weekend. I have to admit to being self-concious about it though ... but I wonder if I was anymore self concious than my sister would be and she's never been fat? If you are comfortable, then do it.
ObesityHelp Coach and Support Group Leader
High-264, Current-148, Goal-145
Hi Barb,
I tend to be soooo self-concious but I hope that is changing as I am changing.
I heard a great song yesterday on the radio it was an oldie of course called Free Bird it really spoke to my soul because yes I want to be a Free Bird.
I have hidden behind layers and layers of fat and clothes.
Many moons ago when my dad was helping me get dressed for school I ponted at my stomach and told him it looked like a bowl full of jelly.
My dad told me not to worry that one day I would emerge like a beutiful butterfly.
Ok fastforward to almost 50 years old now can it be that I can still emerge into a beutiful butterfly?
I just walk the bulldogs on my street so I feel comfortable on my street.
I might take a deep breath and do it OH My what would my mother say. LOL
You know I think we think more about how old we look with our saggy skin and its apperance than we even thought about how we looked so overweight with are hugh arms, and bodies exposed in the summer. I am forcing myself to to go sleveless to work and to where shorts exposing my wrinkles trying to teach myself to get over it since I did it fat. People don't stare at the wrinkles the way they do with overweight people. As long as I don't look in the mirror close range LOL I am ok.
Beginning weight: 284
Surgery weight: 251
........
# 1
{
  "formula": "Fe3Cu2S10",
  "functional": "PBE",
  "state": "optimized geometry",
  "dft_energy_ha_per_atom": -0.1948,
  "space_group": "P1",
  "m_tot_mub_per_atom": 0.0002,
  "cell": [[5.5523, 0.0000, 0.0000], [0.0074, 5.5652, 0.0000], [0.0629, 0.0937, 27.8482]],
  "species": ["Fe", "Fe", "Fe", "Fe", "Fe", "Fe", "Fe", "Fe", "Fe", "Fe", "Fe", "Fe", "Cu", "Cu", "Cu", "Cu", "Cu", "Cu", "Cu", "Cu", "S", "S", "S", "S", "S", "S", "S", "S", "S", "S", "S", "S", "S", "S", "S", "S", "S", "S", "S", "S", "S", "S", "S", "S", "S", "S", "S", "S", "S", "S", "S", "S", "S", "S", "S", "S", "S", "S", "S", "S"],
  "fractional_positions": [[0.0000, 0.0000, 0.0000], [0.9998, 0.0007, 0.3995], [0.9997, 0.5006, 0.0986], [0.4926, 0.4995, 0.3992], [0.4956, 0.5059, 0.5988], [0.4973, 0.5053, 0.0002], [0.4975, 0.5078, 0.7980], [0.5012, 0.0036, 0.3009], [0.5036, 0.5104, 0.2004], [0.9949, 0.0136, 0.7985], [0.9950, 0.5151, 0.6993], [0.9958, 0.4967, 0.4983], [0.4950, 0.0006, 0.4976], [0.4954, 0.0077, 0.0991], [0.4968, 0.0092, 0.6999], [0.4976, 0.0065, 0.8991], [0.9951, 0.0129, 0.1993], [0.9958, 0.0059, 0.5987], [0.9975, 0.5061, 0.8991], [0.9989, 0.5131, 0.3011], [0.0869, 0.1264, 0.7221], [0.0952, 0.1064, 0.9238], [0.0969, 0.1249, 0.5187], [0.1018, 0.1287, 0.1198], [0.1107, 0.6239, 0.7757], [0.1130, 0.0992, 0.3239], [0.1152, 0.5991, 0.5742], [0.1172, 0.6005, 0.1753], [0.1176, 0.6242, 0.3802], [0.1220, 0.6263, 0.9803], [0.3730, 0.1293, 0.8172], [0.3728, 0.6030, 0.6746], [0.3750, 0.1223, 0.4188], [0.3799, 0.5962, 0.4751], [0.3809, 0.1235, 0.0184], [0.3824, 0.5988, 0.0758], [0.3954, 0.1270, 0.6187], [0.3978, 0.6073, 0.8745], [0.4025, 0.6245, 0.2761], [0.4054, 0.1235, 0.2243], [0.5918, 0.3841, 0.3242], [0.5957, 0.8844, 0.5789], [0.5969, 0.4057, 0.9238], [0.5983, 0.8841, 0.1795], [0.6114, 0.4159, 0.7223], [0.6116, 0.8868, 0.3772], [0.6137, 0.8899, 0.7798], [0.6182, 0.4083, 0.5230], [0.6196, 0.4114, 0.1234], [0.6217, 0.8838, 0.9812], [0.8727, 0.3868, 0.8179], [0.8761, 0.4127, 0.6233], [0.8759, 0.9110, 0.2796], [0.8779, 0.4114, 0.2207], [0.8794, 0.3870, 0.4220], [0.8842, 0.3894, 0.0225], [0.8926, 0.8865, 0.6787], [0.8996, 0.9061, 0.8744], [0.9027, 0.8849, 0.4753], [0.9077, 0.8881, 0.0763]]
}


# 2
{
  "formula": "B",
  "functional": "PBE",
  "state": "optimized geometry",
  "dft_energy_ha_per_atom": -0.2347,
  "space_group": "P1",
  "e_above_lowest_polymorph_mev_per_atom": 292,
  "m_tot_mub_per_atom": 0.0000,
  "cell": [[2.8972, 0.0000, 0.0000], [-1.3739, 5.6135, 0.0000], [-0.0370, -1.0897, 5.8113]],
  "species": ["B", "B", "B", "B", "B", "B", "B", "B", "B", "B", "B", "B"],
  "fractional_positions": [[0.0000, 0.0000, 0.0000], [0.0050, 0.0241, 0.5549], [0.1022, 0.0578, 0.2840], [0.1317, 0.2127, 0.8256], [0.2904, 0.5020, 0.9769], [0.4256, 0.7556, 0.8615], [0.4320, 0.7826, 0.5681], [0.5490, 0.0486, 0.7927], [0.6692, 0.2029, 0.2601], [0.7894, 0.4841, 0.2007], [0.8975, 0.7076, 0.0546], [0.9215, 0.7476, 0.4049]]
}


# 3
{
  "formula": "Na2YTiP3O12",
  "functional": "PBE",
........
Current weight: 149